Saturday, May 31, 2008

Conspicuous consumption

Here are my two entries in the Webkinz Olympics.

Up at four, here's a little tasting menu for you:

What will we have for supper tomorrow? Did I buy too much food? Skip exercise tomorrow, go to the gym on sunday and run on Monday. What will we have for supper on Sunday? WIll the girls go to the gym on sunday? I can't go to Banff. Why am I leaving Guelph? Im too tired. What will we have for supper tomorrow? If we eat the fish tonight, that leaves four more nights. How will I survive saturday without exercise? I ate too much.

I could go on and on ( and believe me I did). I think I'm putting this out there so that someone will see it and say dear god girl you need professional help. Check yourself into Homewood and put yourself out of that misery. Its a never ending reverie.

Nem is really out of sorts tonight. Practically chased her around the neighbourhood to get her in tonight - now she's floofing about in her room. I can't be on top of every little transgression, but I dont know how to discipline her.....

Friday, May 30, 2008

Ballet day

I always want to write at night, but I am practically comatose by the time the girls are in bed. Why is it they go to bed later (9) and are up earlier (520 today!) when Y is away? Add to that the no nap wonder, and I have a two year old getting by on 8.5 hours of sleep.

Finishing up at work today as I won't be back before we leave on Wednesday. My to do lists are scattered around on almost every surface. I feel strangely numb to all the events - which is good. Focus on here, now. Walking down to the river to see the gosslings, picking lettuce for supper tonight (I planted lettuce spinach and swiss chard practically in the snow in March - I now have a healthy crop and a delectable salad each night, thanks Jim).

I apologize to my readers (yes you, bip and bop). I wanted to have a food blog, especially a forum to experiment with microbes. But life got in the way.

Y is starting to perk up a bit in Berlin - he sounded so wan until he experienced how large the beers are. He had a heffeweissen and seems to be just fine.

But me, what the h***k will I eat over there?

Sunday, May 25, 2008


Yianni, are you out there? Do you even realize I have a blog? Call me!
After a whirling reverie in Kelowna, I need to talk with you - I am totally befuddled.

Here's what you've missed: Nemy found a huge beetle, we went to a dismal carnival in the parking lot at Zellers, I've started the girls on a high fructose corn syrup diet, and Artemis has transitioned out of naps.

Oh, and we have 19 web kinz now.

I feel torn between two realities. I am so different - depending on my back drop.

Here's the thing: when I landed in TO, deftly navigated Pearson, the 401, I drove through Guelph, parked in front of our house, and I thought: I am home.

Monday, May 19, 2008

Grind stone

This is the only picture I have of myself hard at work. And work I have been doing, non stop since I learned of my trip this Thursday. I have been a mole in a hole. A very big hole, the New Science Complex. Alone on a long weekend in a behemoth of a building, fretting and sweating, sweating and fretting.

And my frontal lobe - I can feel it. It feels fuzzy, a bit fluffy. I can feel it when I try to think. Im cognitively impaired right now; completely unable to make decisions. There are too many variables, too many potential outcomes.

What do I do? Can't do nothing -

And this talk, does anyone really care about mycorrhizas?

(Calculated crystals that have nothing to do with the text)
<<<
# K2LiCeCl6

A geometry-optimized K2LiCeCl6 structure (PBE, the Materials Project).

a = 7.4952 Å, b = 7.4952 Å, c = 7.4952 Å
α = 60.00°, β = 60.00°, γ = 60.00°
Fractional positions:
K1 0.2500 0.2500 0.2500
K2 0.7500 0.7500 0.7500
Li1 0.0000 0.0000 0.0000
Ce1 0.5000 0.5000 0.5000
Cl1 0.2422 0.2422 0.7578
Cl2 0.2422 0.7578 0.2422
Cl3 0.2422 0.7578 0.7578
Cl4 0.7578 0.2422 0.2422
Cl5 0.7578 0.2422 0.7578
Cl6 0.7578 0.7578 0.2422

Formation energy ... -2391 meV/atom
Raw total energy ... -4.138 eV per atom
SG ... Fm-3m, No. 225
Total magnetic moment ... 1.000 μB per cell

# Te2Ru4C11O11

A geometry-optimized Te2Ru4C11O11 structure (PBE, the Materials Project).

a = 6.9904 Å, b = 16.5101 Å, c = 18.1645 Å
α = 90.00°, β = 90.00°, γ = 90.00°
Fractional positions:
Te1 0.0049 0.2079 0.2355
Te2 0.0049 0.2921 0.7355
Te3 0.4951 0.2079 0.7355
Te4 0.4951 0.2921 0.2355
Te5 0.5049 0.7079 0.7645
Te6 0.5049 0.7921 0.2645
Te7 0.9951 0.7079 0.2645
Te8 0.9951 0.7921 0.7645
Ru1 0.1711 0.1652 0.8111
Ru2 0.1711 0.3348 0.3111
Ru3 0.1734 0.1695 0.6506
Ru4 0.1734 0.3305 0.1506
Ru5 0.3266 0.1695 0.1506
Ru6 0.3266 0.3305 0.6506
Ru7 0.3289 0.1652 0.3111
Ru8 0.3289 0.3348 0.8111
Ru9 0.6711 0.6652 0.1889
Ru10 0.6711 0.8348 0.6889
Ru11 0.6734 0.6695 0.3494
Ru12 0.6734 0.8305 0.8494
Ru13 0.8266 0.6695 0.8494
Ru14 0.8266 0.8305 0.3494
Ru15 0.8289 0.6652 0.6889
Ru16 0.8289 0.8348 0.1889
C1 0.0321 0.6691 0.6199
C2 0.0321 0.8309 0.1199
C3 0.0602 0.6393 0.8934
C4 0.0602 0.8607 0.3934
C5 0.0884 0.0703 0.7589
C6 0.0884 0.4297 0.2589
C7 0.1733 0.1129 0.3823
C8 0.1733 0.3871 0.8823
C9 0.2055 0.0809 0.1048
C10 0.2055 0.4191 0.6048
C11 0.2500 0.2500 0.0679
C12 0.2500 0.2500 0.5679
C13 0.2945 0.0809 0.6048
C14 0.2945 0.4191 0.1048
C15 0.3267 0.1129 0.8823
C16 0.3267 0.3871 0.3823
C17 0.4116 0.0703 0.2589
C18 0.4116 0.4297 0.7589
C19 0.4398 0.6393 0.3934
C20 0.4398 0.8607 0.8934
C21 0.4679 0.6691 0.1199
C22 0.4679 0.8309 0.6199
C23 0.5321 0.1691 0.3801
C24 0.5321 0.3309 0.8801
C25 0.5602 0.1393 0.1066
C26 0.5602 0.3607 0.6066
C27 0.5884 0.5703 0.2411
C28 0.5884 0.9297 0.7411
C29 0.6733 0.6129 0.6177
C30 0.6733 0.8871 0.1177
C31 0.7055 0.5809 0.8952
C32 0.7055 0.9191 0.3952
C33 0.7500 0.7500 0.4321
C34 0.7500 0.7500 0.9321
C35 0.7945 0.5809 0.3952
C36 0.7945 0.9191 0.8952
C37 0.8267 0.6129 0.1177
C38 0.8267 0.8871 0.6177
C39 0.9116 0.5703 0.7411
C40 0.9116 0.9297 0.2411
C41 0.9398 0.1393 0.6066
C42 0.9398 0.3607 0.1066
C43 0.9679 0.1691 0.8801
C44 0.9679 0.3309 0.3801
O1 0.0265 0.0053 0.7488
O2 0.0265 0.4947 0.2488
O3 0.0782 0.0806 0.4256
O4 0.0782 0.4194 0.9256
O5 0.1316 0.0262 0.0765
O6 0.1316 0.4738 0.5765
O7 0.1522 0.6715 0.5759
O8 0.1522 0.8285 0.0759
O9 0.2045 0.6210 0.9206
O10 0.2045 0.8790 0.4206
O11 0.2500 0.2500 0.0027
O12 0.2500 0.2500 0.5027
O13 0.2955 0.6210 0.4206
O14 0.2955 0.8790 0.9206
O15 0.3478 0.6715 0.0759
O16 0.3478 0.8285 0.5759
O17 0.3684 0.0262 0.5765
O18 0.3684 0.4738 0.0765
O19 0.4218 0.0806 0.9256
O20 0.4218 0.4194 0.4256
O21 0.4735 0.0053 0.2488
>>>
(End of the calculated crystals)

Thursday, May 15, 2008

Blueberry parfait by Anemone

Sorry for the slap-dash post, but I needed something, anything, to get the octopus picture off the dashboard. Yeeggsh.

My anxiety is about to crest - and the house is falling apart. Anemone is wild lately: she is so ultra sensitive, beligerent. I don't know how to approach her. She is an bottomless pit for my affections. Why is she feeling so vulnerable? Each day something upsetting happens to her at school. And she's been hobbling around because her legs ache. ??

I wonder what to do. There is a lot of crying in the house lately. And Y becomes so fit as to be tied by all the goings on.

Maybe this is all too much for us? To be quite frank, Im not overly enthusiasic about Berlin. I feel a bit blah about the whole ordeal, as though I don't quite have the energy for it. For the record, it was not my idea. Rather, Y's insistance that he needed to apply for a Humbolt.

So - do I remain in Guelph alone with the girls? Is that better for us all?

I really don't know what to do. Although August looms heinous in the do I manage it all?

Saturday, May 10, 2008

You asked for it...

Well even if you didn't, here it is: octopus salad. Artemis freaked, Nemy cried - and well I lost my appetite. Im just not big on molluscs, no matter which way you slice it. Yianni enjoyed it, however. Good on him.

My afternoon of restorative yoga was all for naught: within 1/2 hour of returing home girls were crazed monkey maniacs - the histrionics lasted until bed time. The yoga, though, three hours passed surprising quickly. Which is unsurprising, actually, given the number of times I nodded off (two, three?).

And everything else fades away as we approach the final countdown to Berlin: new buggy (check), portable pharmacy (check), what else is there?

Thursday, May 8, 2008

Why bother?

I'm changing. It's funny how it sneaks up on you. I no longer have the time for anything pastiche (if one can use that term in reference to food). Take these squares for example. Another one of my cockamamie attempts at "healthy" snack foods: ie, lots of wheat germ, ground nuts, agave nectar, etc. But, honestly, do you really want to eat this?

If you want something healthy that tastes good eat a freakin' apple!!!

I'm done with this kind of thing. If Im going to bake, damn it, it's going to be delectable.

To that end, if I'm going to cook, it damn well better taste good. Which explains my lack of productivity in the cuisine as of late. If I can't eat it raw (salad, fruit, bread, cheese, yogurt), no thanks.

However, since we are 14 days and counting to the land of wurst and weiners, I have got to move a lot of consumables. Take for instance the 6 baby octopus in the freezer down stairs.


Tuesday, May 6, 2008

Failure to deliver

I really should change the name of this - not only do I not write about food, I no longer experience food. Last night grilled cheese, tonight Wendy's. Honestly, with a raging sinus infection, it's all just spongy filler.

I don't even have any photos of the gruesome event I like to call supper. Lying suppine on the couch in a vegetative stupor does that to a person. Spending my time perusing other's food blogs. And I ask myself, why am I doing this? I don't really want to spend all my time thinking about food. Im not really a foodie. It eclipses any other pursuits - like a career, for example.

I'm hot on the trail of a burgeoning career in wine microbiology. May make a trip to the cool climate viticulture institute in St. Catherine's next week, providing I don't hear from, well, the traffic police.

Y is downtown educating the masses on soil fertility (??). The girls have just gone down. Nemy's reading blows me down....she is reading at at least a grade 3 level. Tonight, she read me a Mercer Meyer, and then tucked herself into bed with a picture-free Disney book.

To bed, to bed...

BTW, deadheads, where are you? I was off b/c of severe gastritis...what's your excuse?

Monday, May 5, 2008

A birthday, a move and sejour in limbo

My baby turned 2 this weekend. She had a hopping party with friends and seemed to thoroughly enjoy the festivities. Her sister, however, is highly strung. I sympathise, suffering from overstimulation-itis myself. My baby is no longer that. Her balloon floated out the back door yesterday. Now and then a puzzled expression passes through her face. "where did purple balloon go? To the sky? To the moon? Where is it?"

However, her most popular refrain is a loud, garrulous "Wha's zat?" About , well, everything. "Who's that? Whas zat?"

N and J moved this weekend - a drawn out affair that seemed surreal at times. Their new house though - I can see why they moved: bright, new, optimtistic...I am tired of old and dark.

So we drove up to Limbo last Saturday and parked in Purgatory. So far no traffic police have come by, asking us to move along. No, not yet......

Thursday, May 1, 2008

10 days later and Herve This

Went to TO on Tuesday, ostensibly to see Herve This, but also to go out for a bit on my own.

Several problems: as departure loomed, could not see the point of going all that way, leaving my girls. Retreated into full panic attack mode. What is wrong with me? Have I not moved around the world alone, visited foreign countries unaccompanied? And yet leaving my girls for the afternoon - an abyss.

So inserted firecracker, and made it onto the bus. But in TO, once again victim of the 'where the s.s. is this place [Toronto the cosmopolitan]'. I miss the mark so often in TO. Dundas square for example. Where the s.s. is Dundas square?? I've walked loops around down town TO. How have I missed it?

I'm sure TO is a vibrant city crackling with excitment. I always find myself walking down endless streets of office buildings punctuated by pawn shops, drug stores, and restaruants catering to the office workers.

Of course Im too nervous to eat all day long. Scrurry along in the shadows until I find a Starbucks (honestly, without SB I would probably die of thirst or hunger - Im far too nervous to stop anywhere else these days).

However, survived long enough to see the esteemed Prof. This. He was your anti-academic, so of course I loved him. He was funny, he was vain, he was a ham....He inspired me not so much by the results of his labour, but by how he was able to pioneer this somewhat spurrious academic discipline into an international phenomenon, that still retains acceptance from the scientific community. And it all started so simply: refute old wives tales in cooking, invent cool new recipes, bring science to the kitchen.

I think molecular gastronomy is interesting, but it is not me. Fundamentally,he believes that nature can be improved upon. And that, to me, is blasphemy.